Nobel Laureates Medicine 2014: Edvard & May-Britt Moser

Chris Tachibana interviewed May-Britt and Edvard Moser about their discovery, science and sharing a passion in 2014.
On 6 October 2014, the Nobel Committee awarded Professors May-Britt and Edvard Moser the 2014 Nobel Prize in Physiology or Medicine. It was the first in this category for Norway. In videos taken that day, May-Britt Moser laughs, claps, and dances. Her husband [at the time of this interview, they announced their divorced 2016] and research partner Edvard Moser is not seen: he was on a plane to Munich when the announcement was made. When he landed, he said in an interview that day, “People came with flowers and I did not understand anything and then I found out because there were 150 emails and 75 text messages from the last 2 hours. And was one from [Nobel Committee for Physiology or Medicine Secretary] Göran Hansson.”
The Brain’s inner GPS
The Mosers, who met as University of Oslo students, have been faculty members at the Norwegian University of Science and Technology (NTNU) since 1996. Together, they ran the Centre for Neural Computation and the Kavli Institute for Systems Neuroscience in Trondheim. They shared the Nobel award with their mentor and colleague, Professor John O’Keefe from University College of London.
The honor is for work on what is being called the brain’s inner GPS, or global positioning system. This neural network provides the brain’s sense of place and internal map of the surroundings. The system tracks orientation and direction, with real-time updates for wayfinding.
In 1971, O’Keefe and colleagues first reported “place cells” in the hippocampus. The activation pattern of these cells reflects the external environment. Work in the early 2000s by the Mosers built on this discovery, adding information about distance and direction to this cognitive mapping system. The Mosers identified “grid cells” in the entorhinal cortex, which is next to the hippocampus and communicates with it. Like place cells, which fire in a pattern specific to the surroundings, grid cells are activated in a distinct pattern. The pattern is described as a hexagonal, beehive-like arrangement and changes with movement around an environment. Together, the place and grid cells create a network for spatial understanding. All these discoveries were made using electrodes that monitor brain cells in rats as they explore a space. Support for the same type of positioning system in humans comes from functional magnetic resonance imaging (fMRI) and brain cell recordings made during diagnosis and treatment of brain-related conditions.
<<<
Entry 1:
Density functional theory data (PBE) for a relaxed AcAgGeSb crystal.

Computed properties:
Space-group type: No. 216
Formation energy (no corrections) (meV/atom): -241

a b c (Å): 5.298 5.298 5.298
angles (deg): 60.00 60.00 60.00
Fractional coordinates of all 4 atoms:
Ac 0.000 0.000 0.000
Ge 0.750 0.750 0.750
Sb 0.500 0.500 0.500
Ag 0.250 0.250 0.250

Entry 2:
Density functional theory data (PBE) for a relaxed KBaW4 crystal.

Computed properties:
E_form (eV/atom): 1.4092
Space-group type: No. 216

a b c (Å): 5.718 5.718 5.718
angles (deg): 60.00 60.00 60.00
Fractional coordinates of all 6 atoms:
W 0.372 0.372 0.372
W 0.372 0.372 0.884
K 0.000 0.000 0.000
Ba 0.750 0.750 0.750
W 0.372 0.884 0.372
W 0.884 0.372 0.372

no.,electronic total energy (eV per atom)
1,-4.1654
2,-7.7297
>>>
Long-term research
In talking about their groundbreaking work, the Mosers graciously acknowledge coworkers, collaborators and funders. “One of the things that is unique in Norway,” said Edvard Moser, “is that the Research Council has a ten-year funding scheme. That allows us to plan for ten years of continuous science, to do long-term research, to set goals far ahead in the future and take risks.”
In addition to running a Centre of Excellence with funding from Norway, the Mosers directed a Kavli Institute. The Kavli Foundation, based in California, has established 17 institutes worldwide, to date. Potential sites undergo strict evaluation, but once they receive the Kavli Institute designation, funds can be used for whatever research the leaders feel is most important. “That means we can go in untraditional ways,” said Edvard Moser. “If we see something interesting, we can follow up on it.”
A major research center with a family feeling
Workplaces reflect the personalities and principles of their leaders and are shaped by the surroundings. Together, the Centre for Neural Computation and Kavli Institute for Systems Neuroscience are a well-funded, internationally respected research center in a city with fewer than 200,000 residents. This remarkable combination of global ambition and close-knit community echoes the determination of the Mosers and their long personal and professional relationship.
Jonathan J. Couey was a postdoctoral researcher at the Kavli Institute at NTNU in Professor Menno Witter’s group from 2008-2012. He was in 2014 a researcher in the Department of Psychiatry, Erasmus Medical Center, Rotterdam. A noteworthy feature of the Mosers’ work, said Couey, is that “most of their discoveries were made using a fairly simple recording technique. They just put animals in boxes and watch what their neurons do.” The work recognized by the Nobel committee, said Couey, didn’t require manipulations such as gene knockouts. “They can do extraordinary science on animals that are behaving normally, that are healthy and not in pain,” said Couey. “This means their science is technologically simpler and might even more accurately represent biological reality.” This type of science requires a particular skill, said Couey: “May-Britt and Edvard are extraordinarily good at making observations while asking clever questions.”
The Mosers have an infectious enthusiasm and their love of science is clear in online video interviews, even those taken before the Nobel Prize announcement. Couey confirmed this with a delightful story. While at the NTNU, he worked on an advanced in vitro brain-recording method complementary to the in vivo method used by the Mosers. “They’d never had anyone doing this before,” said Couey, “so Edvard said, ‘if you see anything, come and tell me.'” The first week, Couey had promising preliminary results, so he went to Edvard’s office to tell him. “He jumped out of his chair,” said Couey, “put on a lab suit, and came to watch the recordings himself. I knew then that he was just fascinated by the biology.”
The NTNU site is an exceptional place to work, Couey said, with state-of-the-art facilities. He was there at a time of extraordinary growth. “For a while,” he said, “we had group meetings with all the people from the institute in the same room. It was crowded but exciting.” Now, with seven active research groups, lab meetings are held separately. But the Mosers cultivated a work environment with a warm, family feeling, said Couey. “And of course, the science is incredible,” he said. “If you work hard, the Mosers work hard for you. They take care of the people from the institute.” Couey always felt that the Mosers would be given the Nobel Prize and is glad the honor has come relatively early in their career. “This is not a Nobel Prize that caps a career,” he said at the time of the announcement. “This will just make people more aware of their work.”
Opportunities ahead
The 2014 Nobel award added to the growing focus on brain research, which has seen enormous attention with the European Human Brain Project and the U.S. Brain Initiative. Neuroscience is trending, with opportunities for life scientists. “We’re focusing on basic research questions,” said Edvard Moser. “Once someone takes it further and applies it, for example to early Alzheimer’s disease, it will be interesting to the pharmaceutical industry, but we aren’t taking those steps. We’re simply trying to understand how the brain works.”
The life sciences industry supports neuroscience, including the study of neurological disorders, said Edvard Moser, through advances in methodology and instruments. “Neuroscience is undergoing tremendous development in technology,” said Edvard Moser. “We have technology that we couldn’t dream about 15 years ago such as optogenetics and pharmacogenetics. We can insert genes into specific classes of cells and use light or drugs to activate just those cell classes. Researchers now have a toolbox for selecting certain classes of cells, turning them on and finding out better how they work.” Using optogenetics, pharmacogenetics and optochemical genetics, brain researchers can use light, chemicals or both to selectively study particular brain cells. In addition, the Mosers and other brain researchers use electrophysiological recording equipment for monitoring brain cell signaling and the power and sophistication of these instruments is increasing. Edvard Moser advocated for making all these tools commonly and commercially available to everyone, not just the people who invent them and their collaborators. Said Moser, “It’s so important that industries that are participating in technological developments make new tools available to all researchers as soon as possible.”
A family endeavor
The Mosers are full partners in their research. “By and large,” said Edvard Moser, “we both cover the entire range of work. I travel a little more. Perhaps I do a little more writing papers and advising on analysis. Maybe May-Britt is more experimental, helping people do things in the lab. But our work is strongly overlapping.”
“We have the same vision. We love to understand and we do that by talking to each other,” said May-Britt in an interview the day of the Nobel Prize announcement.
In an annual tradition, all the 2014 Nobel Prize winners signed chairs on arriving in Stockholm for Nobel Week. With his signature, Edvard Moser wrote “Looking for crystals in the brain” and with hers, May-Britt Moser wrote “Passion for mysteries.”
May-Britt Moser

- Born: 1963, Fosnavåg, Norway
• Misplaced crystal structures:
Entry 1:
18
Lattice="7.016 0.000 0.000 0.000 4.244 0.000 -0.221 0.000 11.925" Properties=species:S:1:pos:R:3 comment="CeAlRh (PBE-GGA, optimized geometry)" space_group="P2_1/m, No. 11" ef_ev_per_atom=-0.847 final_energy_ev_per_atom=-6.523 magnetic_moment_mub_per_cell=1.38 mass_density_g_cm3=7.58 pbc="T T T"
Ce 0.186 1.061 3.441
Ce 2.223 3.183 10.966
Ce 3.116 3.183 7.461
Ce 3.679 1.061 4.464
Ce 4.572 1.061 0.959
Ce 6.609 3.183 8.484
Al -0.189 1.061 10.950
Al 0.823 1.061 6.463
Al 2.499 3.183 2.400
Al 4.295 1.061 9.525
Al 5.971 3.183 5.462
Al 6.984 3.183 0.975
Rh 1.568 1.061 1.152
Rh 1.582 3.183 5.084
Rh 1.647 1.061 9.017
Rh 5.148 3.183 2.908
Rh 5.213 1.061 6.840
Rh 5.227 3.183 10.773

***

Entry 2:
12
Lattice="4.262 -6.258 0.000 4.262 6.258 0.000 -2.291 0.000 5.374" Properties=species:S:1:pos:R:3 comment="Ce4AlRh (PBE-GGA, optimized geometry)" space_group="C2/c, No. 15" ef_ev_per_atom=-0.329 final_energy_ev_per_atom=-6.134 magnetic_moment_mub_per_cell=0.70 mass_density_g_cm3=8.00 pbc="T T T"
Ce 1.029 3.778 4.888
Ce 0.916 1.273 3.595
Ce 4.058 3.778 3.173
Ce 2.062 -1.273 0.908
Ce 4.171 1.273 4.465
Ce 2.175 -3.778 2.201
Ce 5.316 -1.273 1.779
Ce 5.203 -3.778 0.486
Al 3.689 1.339 1.343
Al 2.543 -1.339 4.030
Rh 2.543 6.250 4.030
Rh 3.689 -6.250 1.343

***

Entry 3:
16
Lattice="7.101 0.000 0.000 0.000 10.742 0.000 -3.357 0.000 5.145" Properties=species:S:1:pos:R:3 comment="Ce6AlRh (PBE-GGA, optimized geometry)" space_group="C2/m, No. 12" ef_ev_per_atom=-0.069 final_energy_ev_per_atom=-5.906 magnetic_moment_mub_per_cell=0.00 mass_density_g_cm3=8.21 pbc="T T T"
Ce 0.597 2.553 1.272
Ce 0.597 8.189 1.272
Ce -1.003 0.000 3.989
Ce 1.197 5.371 1.155
Ce -0.403 2.818 3.872
Ce -0.403 7.924 3.872
Ce 4.147 2.818 1.272
Ce 4.147 7.924 1.272
Ce 2.547 5.371 3.989
Ce 4.747 0.000 1.155
Ce 3.147 2.553 3.872
Ce 3.147 8.189 3.872
Al -1.678 5.371 2.572
Al 1.872 0.000 2.572
Rh 0.000 0.000 0.000
Rh 3.550 5.371 0.000

***

Entry 4:
26
Lattice="4.528 -5.160 0.000 4.528 5.160 0.000 0.000 0.000 9.205" Properties=species:S:1:pos:R:3 comment="CeAl10Rh2 (PBE-GGA, optimized geometry)" space_group="Cmcm, No. 63" ef_ev_per_atom=-0.561 final_energy_ev_per_atom=-5.027 magnetic_moment_mub_per_cell=1.67 mass_density_g_cm3=4.75 pbc="T T T"
Ce 4.528 3.912 6.904
Ce 4.528 -3.912 2.301
Al 2.450 1.363 6.904
Al 4.528 3.535 0.941
Al 4.528 3.535 3.661
Al 1.998 0.000 0.000
Al 1.998 0.000 4.602
Al 3.193 1.306 2.301
Al 4.528 1.248 5.105
Al 4.528 1.248 8.702
Al 2.450 -1.363 2.301
Al 3.193 -1.306 6.904
Al 5.862 1.306 2.301
Al 6.605 1.363 6.904
Al 4.528 -1.248 0.503
Al 4.528 -1.248 4.100
Al 5.862 -1.306 6.904
Al 7.058 0.000 0.000
Al 7.058 0.000 4.602
Al 4.528 -3.535 5.543
Al 4.528 -3.535 8.264
Al 6.605 -1.363 2.301
Rh 2.264 2.580 0.000
Rh 2.264 2.580 4.602
Rh 2.264 -2.580 0.000
Rh 2.264 -2.580 4.602

----------

Here is Na2LiLa after structural relaxation from the Alexandria database. Energies are from PBE.

The structure in POSCAR format:
```
Na2LiLa
1.0
-0.986 -3.222 -0.291
3.188 -1.019 0.487
- Educated and trained: University of Oslo, University of Edinburgh, University College London
- Currently (2014): Director, Centre for Neural Computation, Norwegian University of Science and Technology
Edvard Moser
- Born: 1962, Ålesund, Norway
- Educated and trained: University of Oslo, University of Edinburgh, University College London
- Currently (2014): Director, Kavli Institute for Systems Neuroscience, Norwegian University of Science and Technology
- Family: May-Britt and Edvard Moser are today divorced and have two daughters together
Updated: October 6, 2024, 07:03 pm
Published: December 7, 2015